Mythbusters: Enforcing safety – roles and responsibilities of CQC and HSE

Page last updated: 22 September 2023
Organisations we regulate

Myth 1: HSE and LAs still have enforcement responsibilities for the safety of patients and people who use services

No they don't – except in those few circumstances where activities aren’t registered with CQC. The memorandum of understanding between CQC, the Health and Safety Executive (HSE) and local authorities (LAs) makes clear that from 1 April 2015, HSE and the LAs won't normally lead this work.

The new regulations allow CQC to take enforcement action when we identify issues that we were previously unable to take action against. The fundamental standards are more focused, with the following regulations allowing us to prosecute directly when they are breached as they constitute a criminal offence. This enables CQC to move directly to prosecution without first serving a Warning Notice when those regulations are breached and it is deemed appropriate to hold the provider to account.

  • Need for consent
  • Safe care and treatment
  • Safeguarding service users from abuse
  • Meeting nutritional needs
  • Duty of candour
  • Display of ratings

Myth 2: A specialised team in CQC is responsible for taking enforcement action

No. Enforcement action is the responsibility of all our operations staff, most immediately our Inspectors, Inspection Managers and Heads of Inspection. The Deputy Chief Inspectors and Chief Inspectors should be involved when it is appropriate, and this is detailed on our scheme of delegation.

CQC does not have a central team responsible for managing enforcement activity; the Enforcement Inspectors and Managers offer advice and support only to the Lead Inspector or Inspection Manager. However, CQC has a National team that provides assurance on the quality of our enforcement activity and provides expert input on specific subjects.

Myth 3: HSE and LAs still respond to RIDDORs

No, they no longer do this.

The memorandum of understanding between the Care Quality Commission, the Health and Safety Executive and Local Authorities in England has been in effect since 1 April 2015. CQC's Inspectors now receive Reporting of Injuries, Diseases and Dangerous Occurrences Regulations 2013 reports (RIDDORs), which are forwarded to us by HSE or LAs. We assess the information in the same way that we do for information obtained from any other source, carrying out initial enquiries such as contacting the provider, reviewing information that we already hold (inspection reports or notifications) or contacting other stakeholders (CCGs, Police, Local Authorities) where necessary. Our Inspectors then apply the enforcement decision tree to determine the most appropriate action to take.

Myth 4: CQC inspectors don't need to gather evidence any differently to how they do currently

It's important that our Inspectors understand the purpose of the inspection:  whether it is to gather evidence to inform a rating or whether it is to gather evidence to take enforcement action (civil or criminal).

When gathering evidence with the intention of taking enforcement action, Inspectors need to gather and manage evidence to the standards set in the Criminal Procedure and Investigations Act 1996 (CPIA) and the Police and Criminal Evidence Act 1984 (PACE). This is especially the case where there is a potential breach of a regulation that constitutes an offence and where we may want to prosecute, as evidence needs to be gathered and managed in a way that ensures it is admissible in court.

When gathering evidence to inform a rating for a provider, the CPIA and PACE standards do not need to be met, but inspectors need to gather enough evidence to provide assurance about how a provider is meeting the key lines of enquiry (KLOEs).

Myth 5: CQC inspectors share information with Local Authorities and Environmental Health Officers

Yes, this is correct. Our Inspectors and Inspection Managers should be engaging with Local Authorities and Environmental Health Officers. They should share information and contribute to discussions where it involves concerns about people using services registered with CQC.

Myth 6: CQC doesn't use incident selection criteria to decide when to proceed to enforcement

____________
This record from Alexandria via LeMat-Bulk describes an optimized crystal structure of TaCrIN2. The functional is PBE.

Lattice parameters (Å, degrees): 4.044 4.044 5.910 90.00 90.00 90.00
Space group P4/mmm (No. 123)
One atom of each set of equivalent atoms:
1 Ta 0.000 0.000 0.000 [1 per cell]
2 Cr 0.500 0.500 0.500 [1 per cell]
3 I 0.000 0.000 0.500 [1 per cell]
4 N 0.000 0.500 0.000 [2 per cell]

As for the volume: 96.7 Å³/cell. The offset from the most stable computed form is 0 kJ/mol of formula units. As for the total energy: -37.2 eV/f.u.

---

This record from Alexandria via LeMat-Bulk describes an optimized crystal structure of TaCrIN2. The functional is PBE.

Lattice parameters (Å, degrees): 3.881 3.881 5.268 90.00 90.00 90.00
Space group P4/mmm (No. 123)
One atom of each set of equivalent atoms:
1 Ta 0.000 0.000 0.000 [1 per cell]
2 Cr 0.500 0.500 0.500 [1 per cell]
3 I 0.500 0.500 0.000 [1 per cell]
4 N 0.000 0.500 0.500 [2 per cell]

As for the volume: 79.4 Å³/cell. The offset from the most stable computed form is 410 kJ/mol of formula units. As for the total energy: -32.9 eV/f.u.

---

This record from Alexandria via LeMat-Bulk describes an optimized crystal structure of TaCrI2N. The functional is PBE.

Lattice parameters (Å, degrees): 5.552 5.552 3.563 90.00 90.00 90.00
Space group P4/mmm (No. 123)
One atom of each set of equivalent atoms:
1 Ta 0.000 0.000 0.000 [1 per cell]
2 Cr 0.500 0.500 0.500 [1 per cell]
3 I 0.000 0.500 0.500 [2 per cell]
4 N 0.500 0.500 0.000 [1 per cell]

As for the volume: 109.8 Å³/cell. The offset from the most stable computed form is 197 kJ/mol of formula units. As for the total energy: -28.8 eV/f.u.

---

Question: Among the records above, which one has the lowest offset from the most stable computed form?
Answer: number 1

---

Please write out number 3 again, unchanged.
This record from Alexandria via LeMat-Bulk describes an optimized crystal structure of TaCrI2N. The functional is PBE.

Lattice parameters (Å, degrees): 5.552 5.552 3.563 90.00 90.00 90.00
Space group P4/mmm (No. 123)
One atom of each set of equivalent atoms:
1 Ta 0.000 0.000 0.000 [1 per cell]
2 Cr 0.500 0.500 0.500 [1 per cell]
3 I 0.000 0.500 0.500 [2 per cell]
4 N 0.500 0.500 0.000 [1 per cell]

As for the volume: 109.8 Å³/cell. The offset from the most stable computed form is 197 kJ/mol of formula units. As for the total energy: -28.8 eV/f.u.

---

Question: Which value of offset from the most stable computed form does entry 1 give?
Answer: 0 kJ/mol of formula units
____________

Yes, this is correct. CQC does not have separate incident or case selection criteria. The framework for deciding what incidents, notifications or reports we will investigate further has been embedded into the decision tree and the prosecution criteria, which is in our enforcement policy.